Scooby & ChiChi believe it's Christmas EVERY DAY with our brand New SmartBarf Packaging...
They could just be right ⭐
Happy #sundayfunday floofs! 🐶🐶
@followers @topfans
#raw #rawdogfood #barf #barfdiet #supplements #dogfood #dogtreats #dogtreatrecipe #sunday #sundayvibes #smartbarf #Christmas #iwish*tcouldbechirstmaseveryday #shihtzu #shihtzupuppy #shihtzulove
We can now officially enjoy the run up to Christmas...just like our #ambassador hugsydaisy who's been super busy showing just how versatile SmartBarf is...
Fancy a yummy treat with your glass of milk Santa Paws??🎅🐾
@followers @topfans
#raw #rawdogfood #barf #barfdiet #supplements #dogfood #dogtreats #dogtreatrecipe #sunday #sundayvibes #smartbarf
A Classic...Just like SmartBarf
Who remembers this absolute #classic …
Brilliantly adapted for SmartBarf by the genius Superstar-Pets
They don’t make them like this anymore…
Happy #sundayfunday everybody 🐶🐾
@followers @topfans
#christmasadvert #advert #vintage #sunday #sundayvibes #sundaymotivation #sundaylunch #dog #dogfood #raw #rawdogfood #rawfeddog #cockapoo #advertisement #smartbarf #superstarpets #trending
Doggies really don’t like #fireworks💥
So just keep them safely inside and well fed with their SmartBarf…just like our #ambassadors Louie & Lola
#smartbarf #dogs #rawfed #rawfoods #rawdogfood #maltipoo #dogproducts #doghealth #rawfeddog
Halloween GIVEAWAY
🎃Halloween GIVEAWAY👻
🎉 WIN 3 Months Supply of SmartBarf🎉
With the help of Spooktacular Ambassador hugsydaisy...for Halloween only, we’re GIVING AWAY a Scrumptious 3 month's worth of delicious SmartBarf to add to your dog's raw meat diet...
🎃 To enter, just...
👻 Follow & like our page
🎃 Like this post
👻 Tag 2 friends
🎃 Tell us why your dog deserves to win...
👻 It’s as easy as that 👌
🏆 The winner will be announced in 7 days | 2 entries per person | UK only shipping 🇬🇧
Thank you to our friends at Superstar-Pets for this absolutely furrrbulous advert 👻
#ukgiveaway #giveawayuk #giveaway #ukgiveaways #giveawaytime #giveaways #GiveawayAlert #competition #competitiontime #ukfreeproducts #ukfreebies #winning #giveawaycollab #giveawaycontest #winner #freebies #ukcompetition #freebiesuk #SundayMotivation #dogs #rawfed #rawfood #rawfeddog #RawDogFood #spaniel #dogproducts #DogHealth
Happy #sundayfunday to all our #FurryFriends🐶
SmartBarf is an amazing start to your puppy’s journey, packed with such a blend of enriching nutrients and deliciously tasty…
Power your pup from the start…just like our absolutely adorable Ambassador Dollvetine Freda❤️
Thank you to Superstar-Pets for this wonderful creative 🙏
#smartbarf #smartbarfsupplement #foodtoppers #yummyfood #thankful #workingcockerspaniel #cockerspaniel #cockerspanielworld #pupfluencer #dogfluencer #raw #rawcommunity #rawdogfood #rawfood #RawFedDog #rawfed #rawfedpuppy #deliciousfood #SundayMotivation
Happy #sundayfunday to all our SmartBarf furiends…a Pawfect day to check out our incredible ingredients, they are pure gold…just like our Awesome Ambassadors here hugsydaisy OTIS Dexter Wade Ivaar, Macy and @Louie & Lola
This advert says it all!! 🐶🎉🐶🎉🐶🎉🐾
#ilovemydogs #dog #dogs #lovedogs #doglover #doglife #doglovers #barf #raw #rawdogfood #rawfeeding #doghealth #healthydogs #healthydogfood #nutrition #rawdogfooddiet #rawdogfoodcommunity #smartbarf #NaturalDogFood #lovemydog #dogfood
Happy #sundayfunday to all our SmartBarf furiends…a Pawfect day to have fun with SmartBarf and get creative…just like our Awesome Ambassadors here Hugsy, Otis, Drogo & Teddy & Oscar…
They don’t like it…they LOVE it!! 🐶🎉🐶🎉🐶🎉🐾
#ilovemydogs #dog #dogs #lovedogs #doglover #barf #raw #rawdogfood #rawfeeding #doghealth #healthydogs #healthydogfood #nutrition #rawdogfooddiet #rawdogfoodcommunity #smartbarf #NaturalDogFood #lovemydog #dogfood
On a sunny #sundayfunday #september Who better than our Ambassador Ivaar the Wolfdog to show that SmartBarf is always here, even when the Summer Holidays are over 🐾
If your dog is Hungry Like the Wolf...SmartBarf is the answer...just add meat and the meal's complete!
#ilovemydogs #dog #dogs #lovedogs #dogsofinstagram #dogmodels #doglovers #barf #raw #rawdogfood #rawfeeding #doghealth #healthydog #healthydogfood #nutrition #rawdogfooddiet #rawdogfoodcommunity #smartbarf #naturaldogfood #lovemydog #dogfood #wolfdog
If You Go Down to the Woods Today...
If You Go Down to the Woods Today...
You're in For a Big Surprise! 🌳
Happy #sundayfunday to all our Facebook Furiends…
Who fancies a delicious #picnic with their SmartBarf 🐶🐻
We love this SmartBarf Ambassador's Picnic with Velvet, Teddy, Oski, Sky & Spring🐾
#dog #dogfood #healthydog #raw #rawdog #rawdogfooddiet #rawdogfood #ambassador #ambassadors #ambassadogs #smartbarf #teddybearspicnic
Today's the Day for our SmartBarf Ambassadors Picnic!
If You Go Down to the Woods Today...
You're in For a Big Surprise! 🌳
Happy #sundayfunday to all our Facebook Furiends…
Who fancies a delicious #picnic with their SmartBarf 🐶🐻
We love this SmartBarf Ambssador's Picninc with Velvet, Teddy, Oski, Sky & Spring🐾
#dog #dogfood #healthydog #raw #rawdog #rawdogfooddiet #rawdogfood #ambassador #ambassadors #ambassadogs #smartbarf #teddybearspicnic
Here the article breaks off for data records >
+++
1.
The following is a DFT calculation (wB97M-V/def2-TZVPD) of a molecular structure, C12H13BrOSn in a non-equilibrium geometry.

Element x y z (Å)
C 0.872 2.515 -0.311
C 0.219 2.411 0.929
C 0.878 1.348 1.680
H -0.593 3.035 1.300
C 1.973 0.859 0.852
C 1.932 1.568 -0.359
H 2.635 1.452 -1.177
H 0.648 3.235 -1.094
H 0.745 1.159 2.743
H 2.715 0.124 1.168
Sn -0.733 -0.173 0.822
Br -2.803 -0.054 2.241
C -1.524 -1.392 -1.545
C -0.395 -1.118 -2.371
C -0.509 0.213 -2.838
H 0.414 -1.818 -2.587
C -1.738 0.760 -2.365
C -2.381 -0.225 -1.567
H -3.344 -0.138 -1.066
H -1.740 -2.334 -1.054
H 0.213 0.721 -3.469
H -2.118 1.758 -2.578
C 0.777 -2.213 2.562
C 0.519 -2.204 1.116
O 0.836 -2.909 0.204
H 1.583 -1.490 2.776
H 1.045 -3.230 2.893
H -0.125 -1.861 3.095

Summary:
HOMO-LUMO gap, eV: 3.9
Total energy, Eh: -3328.5012
Multiplicity: 1
HOMO energy, eV: 1.599
Net charge: -2

---

2.
The following is a DFT calculation (wB97M-V/def2-TZVPD) of a molecular structure, C12H13Cl2F6O3S2SbV.

Element x y z (Å)
V -1.524 0.759 0.657
Cl -0.694 -6.186 -2.284
C -0.913 -4.545 -1.763
C -1.813 -4.264 -0.750
C -1.988 -2.960 -0.321
Cl -3.143 -2.646 0.920
C -1.259 -1.906 -0.884
O -1.368 -0.675 -0.421
C -0.381 -2.211 -1.942
C 0.362 -1.185 -2.703
O 0.175 0.006 -2.686
C -0.203 -3.526 -2.360
H -2.379 -5.056 -0.281
H 1.139 -1.613 -3.368
H 0.490 -3.743 -3.163
F -0.235 0.068 1.738
Sb -1.015 -1.443 3.668
F 0.673 -1.040 4.440
F -1.663 2.175 1.711
F -1.395 -2.763 4.990
F -3.114 0.287 1.336
F -0.276 -2.714 2.466
C 1.973 2.500 -2.427
C 2.163 2.955 -0.991
S 1.442 1.805 0.182
O -0.043 1.846 -0.213
C 1.624 2.862 1.637
C 1.296 2.195 2.962
H 2.346 3.273 -3.099
H 0.922 2.321 -2.645
H 2.511 1.575 -2.628
H 1.705 3.928 -0.804
H 3.217 3.005 -0.712
H 0.992 3.732 1.442
H 2.670 3.175 1.599
H 0.232 2.006 3.051
H 1.601 2.857 3.772
H 1.824 1.249 3.076
S -3.315 2.232 -2.208
C -2.637 1.664 -0.997

Summary:
HOMO-LUMO gap (spin up / spin down), eV: 7.0 / 7.3
Total energy, Eh: -4191.1513
Energy relative to the best compared isomer or geometry (same formula, charge and spin), eV: 0.000
Multiplicity: 2
HOMO energy (spin up / spin down), eV: -8.766 / -8.804
Net charge: 0

---

3.
The following is a DFT calculation (wB97M-V/def2-TZVPD) of a molecular structure, C12H13EuN6O4S.

Element x y z (Å)
Eu -0.504 0.533 -0.251
O 3.803 0.865 -1.855
C 2.688 0.604 -1.204
O 1.708 1.322 -1.222
C 2.742 -0.691 -0.437
C 3.827 -1.555 -0.444
C 3.706 -2.741 0.267
C 2.521 -3.030 0.931
C 1.489 -2.102 0.876
N 1.621 -0.956 0.220
C 0.099 -2.278 1.459
O -0.135 -3.301 2.257
O -0.795 -1.513 1.175
H 3.693 1.703 -2.333
H 4.726 -1.311 -0.990
H 4.524 -3.447 0.291
H 2.423 -3.971 1.455
H 0.662 -3.810 2.444
C -1.726 1.394 -4.011
N -2.699 0.575 -3.307
C -2.407 -0.512 -2.599
S -0.813 -1.131 -2.476
N -3.407 -1.124 -1.958
C -4.776 -0.640 -1.903
H -2.271 2.156 -4.562
H -1.140 0.791 -4.701
H -1.051 1.895 -3.313
H -3.660 0.874 -3.342
H -3.158 -1.976 -1.486
H -5.254 -0.685 -2.884
H -4.808 0.381 -1.517
H -5.337 -1.273 -1.223
N -5.853 3.498 2.147
C -5.183 3.339 1.222
+++
Today's the Day for our SmartBarf Ambassadors Picnic!
If You Go Down to the Woods Today...
You're in For a Big Surprise! 🌳
(Unrelated to this text: calculated molecules)
Here is a structure of composition C28H39N3O8P2SSiTi from the Open Molecules 2025 dataset. Energies are from ωB97M-V with the def2-TZVPD basis set.

## Properties
* <S²>: 2.01
* E_tot: -4076.754291 Eh
* largest force on an atom: 0.0506 hartree/bohr
* multiplicity: 3

Each line ends with the Mulliken spin population.
Cartesian coordinates (Å):
Ti -0.228385 -0.968099 0.045723  1.753
C -0.846372 4.097440 -1.500151  -0.002
C -0.267531 3.394335 -0.315073  -0.009
C 0.960968 2.756281 -0.398150  0.033
C 1.502256 2.112095 0.701600  0.015
C 0.827859 2.114975 1.911865  -0.009
C -0.402815 2.742601 2.002544  -0.001
C -0.942113 3.375375 0.899109  -0.002
H -0.538337 3.622573 -2.426595  -0.001
H -0.512338 5.134910 -1.531176  0.000
H -1.930156 4.096201 -1.465502  0.000
H 1.496164 2.760267 -1.335918  0.000
H 2.481385 1.656702 0.634366  -0.004
H 1.270207 1.635806 2.775665  0.002
H -0.953471 2.734249 2.932136  0.000
H -1.909654 3.850362 0.977759  0.004
C -0.712547 -3.989344 -5.382829  0.000
Si -0.942895 -2.122366 -5.268087  0.002
C -0.459015 -1.339204 -6.924125  0.000
C -2.759543 -1.731783 -4.963376  -0.001
C 0.238895 -1.411294 -3.973120  -0.008
C 1.471630 -0.894896 -4.374343  0.007
C 2.383561 -0.349538 -3.463336  0.005
C 2.004515 -0.311018 -2.139632  0.038
N 0.813947 -0.809809 -1.719310  -0.026
C -0.034164 -1.397936 -2.596592  0.049
S -1.420045 -2.115344 -1.866581  -0.026
H -1.313045 -4.393599 -6.190650  0.000
H -1.022414 -4.470942 -4.465522  0.000
H 0.319964 -4.258144 -5.565531  0.000
H -1.193710 -1.592463 -7.676232  0.000
H 0.496489 -1.690127 -7.285679  0.000
H -0.410844 -0.260467 -6.861833  0.000
H -3.334889 -2.059967 -5.821748  0.000
H -2.935328 -0.672433 -4.823569  0.000
H -3.131239 -2.237849 -4.080881  0.000
H 1.738393 -0.906349 -5.416246  0.001
H 3.344480 0.032481 -3.777299  0.000
H 2.648097 0.117459 -1.370024  0.009
C 3.020564 -2.608323 3.279543  -0.001
C 2.034035 -2.104455 2.252630  0.060
O 2.401421 -0.850350 1.702655  0.010
P 0.368887 -1.833168 2.942047  0.012
O 0.624350 -1.286337 4.410269  -0.001
O -0.286338 -3.248622 3.212061  0.000
O -0.475265 -0.888883 2.160841  0.010
P 1.796666 -3.177622 0.761776  -0.026
O 1.939734 -4.696123 1.276043  -0.001
O 2.838662 -2.808807 -0.220283  0.010
O 0.317519 -2.952553 0.505924  -0.028
H 3.212576 -1.839025 4.027011  0.000
H 3.959434 -2.867707 2.785975  0.000
H 2.637908 -3.497070 3.774298  0.000
H 3.015893 -1.064999 0.968124  0.002
H 0.002978 -0.605093 4.659075  0.000
H -0.491838 -3.685473 2.375109  0.004
H 2.752553 -5.078493 0.964275  0.000
C -5.772369 1.067276 -1.298701  0.008
N -4.474606 1.731833 -1.261735  0.010
N -3.634128 1.185129 -0.270132  -0.010
C -2.432716 0.817402 -0.842379  0.041
O -1.472383 0.392875 -0.182803  -0.009
C -2.511779 1.149773 -2.219307  0.031
C -3.745625 1.666936 -2.456816  0.034
C -4.387022 2.095237 -3.726001  -0.001
C -3.924387 1.431473 1.062387  -0.009
C -4.785286 2.477724 1.404625  0.013
C -5.086873 2.714919 2.727110  -0.004
C -4.536265 1.933347 3.728132  0.011
(So much for the calculated molecules)
Happy #sundayfunday to all our Facebook Furiends…
Who fancies a delicious #picnic with their SmartBarf 🐶🐻
We love this SmartBarf Ambssador's Picninc with Velvet, Teddy, Oski, Sky & Spring🐾
#dog #dogfood #healthydog #raw #rawdog #rawdogfooddiet #rawdogfood #ambassador #ambassadors #ambassadogs #smartbarf #teddybearspicnic